Reproduce the material below from the line with "(0.895, 0.895," to the end character by character, please.
+++
The following is a DFT calculation (PBE) of an optimized crystal structure of Nd6Ga3Fe11.

Cell lengths 8.124, 8.124, 13.063 Å; angles 71.88, 71.88, 90.00 degrees
Positions (direct):
Nd (0.981, 0.481, 0.378)
Nd (0.481, 0.641, 0.378)
Nd (0.641, 0.141, 0.378)
Nd (0.395, 0.395, 0.211)
Nd (0.105, 0.105, 0.789)
Nd (0.605, 0.605, 0.789)
Nd (0.141, 0.981, 0.378)
Nd (0.895, 0.895, 0.211)
Nd (0.018, 0.518, 0.628)
Nd (0.518, 0.353, 0.628)
Nd (0.353, 0.853, 0.628)
Nd (0.853, 0.018, 0.628)
Fe (0.569, 0.290, 0.999)
Fe (0.211, 0.932, 0.999)
Fe (0.290, 0.432, 0.999)
Fe (0.069, 0.211, 0.999)
Fe (0.711, 0.569, 0.999)
Fe (0.708, 0.208, 0.812)
Fe (0.881, 0.381, 0.882)
Fe (0.980, 0.708, 0.812)
Fe (0.737, 0.881, 0.882)
Fe (0.932, 0.790, 0.999)
Fe (0.619, 0.769, 0.112)
Fe (0.269, 0.119, 0.112)
Fe (0.769, 0.269, 0.112)
Fe (0.381, 0.237, 0.882)
Fe (0.501, 0.001, 0.999)
Fe (0.790, 0.069, 0.999)
Fe (0.001, 0.501, 0.999)
Fe (0.237, 0.737, 0.882)
Fe (0.432, 0.711, 0.999)
Fe (0.119, 0.619, 0.112)
Fe (0.208, 0.480, 0.812)
Fe (0.480, 0.980, 0.812)
Ga (0.026, 0.284, 0.191)
Ga (0.526, 0.026, 0.191)
Ga (0.784, 0.526, 0.191)
Ga (0.750, 0.750, 0.499)
Ga (0.284, 0.784, 0.191)
+++
Nd (0.895, 0.895, 0.211)
Nd (0.018, 0.518, 0.628)
Nd (0.518, 0.353, 0.628)
Nd (0.353, 0.853, 0.628)
Nd (0.853, 0.018, 0.628)
Fe (0.569, 0.290, 0.999)
Fe (0.211, 0.932, 0.999)
Fe (0.290, 0.432, 0.999)
Fe (0.069, 0.211, 0.999)
Fe (0.711, 0.569, 0.999)
Fe (0.708, 0.208, 0.812)
Fe (0.881, 0.381, 0.882)
Fe (0.980, 0.708, 0.812)
Fe (0.737, 0.881, 0.882)
Fe (0.932, 0.790, 0.999)
Fe (0.619, 0.769, 0.112)
Fe (0.269, 0.119, 0.112)
Fe (0.769, 0.269, 0.112)
Fe (0.381, 0.237, 0.882)
Fe (0.501, 0.001, 0.999)
Fe (0.790, 0.069, 0.999)
Fe (0.001, 0.501, 0.999)
Fe (0.237, 0.737, 0.882)
Fe (0.432, 0.711, 0.999)
Fe (0.119, 0.619, 0.112)
Fe (0.208, 0.480, 0.812)
Fe (0.480, 0.980, 0.812)
Ga (0.026, 0.284, 0.191)
Ga (0.526, 0.026, 0.191)
Ga (0.784, 0.526, 0.191)
Ga (0.750, 0.750, 0.499)
Ga (0.284, 0.784, 0.191)